It remains to duplicate the whole of the notes further down exactly.

____________
(1)
Computed, not measured: Mg149Cr after structural relaxation at the PBE level of DFT.

Summary:
total magnetic moment: 3.37 μB/f.u.
crystal system: hexagonal
VASP energy: -1.67 eV/atom

Cell: 15.931 15.931 15.621 Å, 90.00 90.00 120.00°
Element x y z (fractional)
Mg  0.066  0.533  0.500
Mg  0.667  0.734  0.834
Mg  0.467  0.933  0.833
Mg  0.400  0.000  0.667
Mg  0.199  0.000  0.332
Mg  0.067  0.734  0.166
Mg  0.667  0.133  0.167
Mg  0.200  0.600  0.000
Mg  0.400  0.600  0.667
Mg  0.267  0.533  0.833
Mg  0.200  0.400  0.667
Mg  0.200  0.400  0.333
Mg  0.000  0.601  0.000
Mg  0.067  0.734  0.834
Mg  0.000  0.801  0.668
Mg  0.800  0.400  0.667
Mg  0.400  0.800  0.667
Mg  0.467  0.133  0.167
Mg  0.200  0.600  0.667
Mg  0.067  0.933  0.500
Mg  0.067  0.533  0.833
Mg  0.467  0.533  0.833
Mg  0.400  0.600  0.333
Mg  0.667  0.734  0.166
Mg  0.000  0.600  0.333
Mg  0.667  0.333  0.500
Mg  0.267  0.733  0.500
Mg  0.867  0.533  0.167
Mg  0.400  0.400  0.667
Mg  0.067  0.333  0.166
Mg  0.800  0.400  0.333
Mg  0.600  0.200  0.333
Mg  0.600  0.800  0.667
Mg  0.067  0.333  0.500
Mg  0.667  0.733  0.500
Mg  0.800  0.400  0.000
Mg  0.866  0.333  0.500
Mg  0.267  0.533  0.167
Mg  0.601  0.000  0.000
Mg  0.467  0.333  0.833
Mg  0.601  0.800  0.000
Mg  0.266  0.333  0.834
Mg  0.266  0.333  0.166
Mg  0.399  0.200  0.000
Mg  0.866  0.134  0.167
Mg  0.065  0.935  0.163
Mg  0.800  0.200  0.667
Mg  0.600  0.400  0.667
Mg  0.467  0.133  0.833
Mg  0.867  0.333  0.833
Mg  0.800  0.601  0.000
Mg  0.800  0.000  0.668
Mg  0.000  0.399  0.000
Mg  0.667  0.933  0.166
Mg  0.000  0.600  0.667
Mg  0.600  0.000  0.667
Mg  0.600  0.000  0.333
Mg  0.000  0.000  0.333
Mg  0.399  0.000  0.000
Mg  0.200  0.600  0.333
Mg  0.467  0.134  0.500
Mg  0.866  0.733  0.167
Mg  0.067  0.133  0.500
Mg  0.467  0.333  0.167
Mg  0.267  0.333  0.500
Mg  0.467  0.333  0.500
Mg  0.267  0.134  0.833
Mg  0.804  0.804  0.000
Mg  0.065  0.131  0.837
Mg  0.800  0.200  0.000
Mg  0.601  0.601  0.000
Mg  0.800  0.200  0.333
Mg  0.200  0.800  0.333
Mg  0.000  0.000  0.667
Mg  0.267  0.533  0.500
Mg  0.667  0.133  0.833
Mg  0.000  0.400  0.667
Mg  0.266  0.933  0.166
Mg  0.867  0.133  0.500
Mg  0.400  0.800  0.333
Mg  0.800  0.600  0.333
Mg  0.399  0.399  0.000
Mg  0.065  0.131  0.163
Mg  0.000  0.804  0.000
Mg  0.267  0.933  0.500
Mg  0.266  0.933  0.834
Mg  0.600  0.400  0.333
Mg  0.866  0.533  0.500
Mg  0.800  0.600  0.667
Mg  0.400  0.400  0.333
Mg  0.467  0.733  0.500
Mg  0.267  0.134  0.167
Mg  0.667  0.533  0.500
Mg  0.667  0.533  0.833
Mg  0.196  0.000  0.000
Mg  0.667  0.533  0.167
Mg  0.000  0.196  0.000
Mg  0.267  0.733  0.833
Mg  0.467  0.733  0.167
Mg  0.667  0.933  0.500
Mg  0.067  0.533  0.167
Mg  0.600  0.600  0.333
Mg  0.400  0.800  0.000
Mg  0.600  0.800  0.333
Mg  0.867  0.933  0.500
Mg  0.667  0.134  0.500
Mg  0.869  0.935  0.163
Mg  0.866  0.134  0.833
Mg  0.200  0.800  0.000
Mg  0.869  0.935  0.837
Mg  0.800  0.801  0.332
Mg  0.400  0.200  0.667
Mg  0.600  0.200  0.000
Mg  0.467  0.533  0.500
Mg  0.065  0.935  0.837
Mg  0.400  0.600  0.000
Mg  0.199  0.200  0.332
Mg  0.267  0.133  0.500
Mg  0.667  0.333  0.834
Mg  0.000  0.200  0.332
Mg  0.067  0.733  0.500
Mg  0.867  0.333  0.167
Mg  0.000  0.801  0.332
Mg  0.866  0.733  0.833
Mg  0.667  0.333  0.166
Mg  0.600  0.200  0.667
Mg  0.600  0.600  0.667
Mg  0.867  0.733  0.500
Mg  0.400  0.200  0.333
Mg  0.199  0.000  0.668
Mg  0.267  0.733  0.167
Mg  0.800  0.000  0.332
Mg  0.067  0.333  0.834
Mg  0.200  0.800  0.667
Mg  0.467  0.933  0.167
Mg  0.000  0.200  0.668
Mg  0.667  0.933  0.834
Mg  0.200  0.399  0.000
Mg  0.600  0.400  0.000
Mg  0.400  0.000  0.333
Mg  0.800  0.801  0.668
Mg  0.199  0.200  0.668
Mg  0.867  0.533  0.833
Mg  0.196  0.196  0.000
Mg  0.804  0.000  0.000
Mg  0.467  0.533  0.167
Mg  0.467  0.934  0.500
Mg  0.000  0.400  0.333
Mg  0.467  0.733  0.833
Cr  0.000  0.000  0.000

---

(2)
Computed, not measured: Li8Al3Si5 after structural relaxation at the PBE level of DFT.

Summary:
____________

(1)
Computed, not measured: Mg149Cr after structural relaxation at the PBE level of DFT.

Summary:
total magnetic moment: 3.37 μB/f.u.
crystal system: hexagonal
VASP energy: -1.67 eV/atom

Cell: 15.931 15.931 15.621 Å, 90.00 90.00 120.00°
Element x y z (fractional)
Mg  0.066  0.533  0.500
Mg  0.667  0.734  0.834
Mg  0.467  0.933  0.833
Mg  0.400  0.000  0.667
Mg  0.199  0.000  0.332
Mg  0.067  0.734  0.166
Mg  0.667  0.133  0.167
Mg  0.200  0.600  0.000
Mg  0.400  0.600  0.667
Mg  0.267  0.533  0.833
Mg  0.200  0.400  0.667
Mg  0.200  0.400  0.333
Mg  0.000  0.601  0.000
Mg  0.067  0.734  0.834
Mg  0.000  0.801  0.668
Mg  0.800  0.400  0.667
Mg  0.400  0.800  0.667
Mg  0.467  0.133  0.167
Mg  0.200  0.600  0.667
Mg  0.067  0.933  0.500
Mg  0.067  0.533  0.833
Mg  0.467  0.533  0.833
Mg  0.400  0.600  0.333
Mg  0.667  0.734  0.166
Mg  0.000  0.600  0.333
Mg  0.667  0.333  0.500
Mg  0.267  0.733  0.500
Mg  0.867  0.533  0.167
Mg  0.400  0.400  0.667
Mg  0.067  0.333  0.166
Mg  0.800  0.400  0.333
Mg  0.600  0.200  0.333
Mg  0.600  0.800  0.667
Mg  0.067  0.333  0.500
Mg  0.667  0.733  0.500
Mg  0.800  0.400  0.000
Mg  0.866  0.333  0.500
Mg  0.267  0.533  0.167
Mg  0.601  0.000  0.000
Mg  0.467  0.333  0.833
Mg  0.601  0.800  0.000
Mg  0.266  0.333  0.834
Mg  0.266  0.333  0.166
Mg  0.399  0.200  0.000
Mg  0.866  0.134  0.167
Mg  0.065  0.935  0.163
Mg  0.800  0.200  0.667
Mg  0.600  0.400  0.667
Mg  0.467  0.133  0.833
Mg  0.867  0.333  0.833
Mg  0.800  0.601  0.000
Mg  0.800  0.000  0.668
Mg  0.000  0.399  0.000
Mg  0.667  0.933  0.166
Mg  0.000  0.600  0.667
Mg  0.600  0.000  0.667
Mg  0.600  0.000  0.333
Mg  0.000  0.000  0.333
Mg  0.399  0.000  0.000
Mg  0.200  0.600  0.333
Mg  0.467  0.134  0.500
Mg  0.866  0.733  0.167
Mg  0.067  0.133  0.500
Mg  0.467  0.333  0.167
Mg  0.267  0.333  0.500
Mg  0.467  0.333  0.500
Mg  0.267  0.134  0.833
Mg  0.804  0.804  0.000
Mg  0.065  0.131  0.837
Mg  0.800  0.200  0.000
Mg  0.601  0.601  0.000
Mg  0.800  0.200  0.333
Mg  0.200  0.800  0.333
Mg  0.000  0.000  0.667
Mg  0.267  0.533  0.500
Mg  0.667  0.133  0.833
Mg  0.000  0.400  0.667
Mg  0.266  0.933  0.166
Mg  0.867  0.133  0.500
Mg  0.400  0.800  0.333
Mg  0.800  0.600  0.333
Mg  0.399  0.399  0.000
Mg  0.065  0.131  0.163
Mg  0.000  0.804  0.000
Mg  0.267  0.933  0.500
Mg  0.266  0.933  0.834
Mg  0.600  0.400  0.333
Mg  0.866  0.533  0.500
Mg  0.800  0.600  0.667
Mg  0.400  0.400  0.333
Mg  0.467  0.733  0.500
Mg  0.267  0.134  0.167
Mg  0.667  0.533  0.500
Mg  0.667  0.533  0.833
Mg  0.196  0.000  0.000
Mg  0.667  0.533  0.167
Mg  0.000  0.196  0.000
Mg  0.267  0.733  0.833
Mg  0.467  0.733  0.167
Mg  0.667  0.933  0.500
Mg  0.067  0.533  0.167
Mg  0.600  0.600  0.333
Mg  0.400  0.800  0.000
Mg  0.600  0.800  0.333
Mg  0.867  0.933  0.500
Mg  0.667  0.134  0.500
Mg  0.869  0.935  0.163
Mg  0.866  0.134  0.833
Mg  0.200  0.800  0.000
Mg  0.869  0.935  0.837
Mg  0.800  0.801  0.332
Mg  0.400  0.200  0.667
Mg  0.600  0.200  0.000
Mg  0.467  0.533  0.500
Mg  0.065  0.935  0.837
Mg  0.400  0.600  0.000
Mg  0.199  0.200  0.332
Mg  0.267  0.133  0.500
Mg  0.667  0.333  0.834
Mg  0.000  0.200  0.332
Mg  0.067  0.733  0.500
Mg  0.867  0.333  0.167
Mg  0.000  0.801  0.332
Mg  0.866  0.733  0.833
Mg  0.667  0.333  0.166
Mg  0.600  0.200  0.667
Mg  0.600  0.600  0.667
Mg  0.867  0.733  0.500
Mg  0.400  0.200  0.333
Mg  0.199  0.000  0.668
Mg  0.267  0.733  0.167
Mg  0.800  0.000  0.332
Mg  0.067  0.333  0.834
Mg  0.200  0.800  0.667
Mg  0.467  0.933  0.167
Mg  0.000  0.200  0.668
Mg  0.667  0.933  0.834
Mg  0.200  0.399  0.000
Mg  0.600  0.400  0.000
Mg  0.400  0.000  0.333
Mg  0.800  0.801  0.668
Mg  0.199  0.200  0.668
Mg  0.867  0.533  0.833
Mg  0.196  0.196  0.000
Mg  0.804  0.000  0.000
Mg  0.467  0.533  0.167
Mg  0.467  0.934  0.500
Mg  0.000  0.400  0.333
Mg  0.467  0.733  0.833
Cr  0.000  0.000  0.000

---

(2)
Computed, not measured: Li8Al3Si5 after structural relaxation at the PBE level of DFT.

Summary: